Assignment:
It remains to search the notes underneath for the word "isolated" and transcribe each line that has it.
Entries:
-- begin --
Entry one
The following is a DFT calculation (wB97M-V/def2-TZVPD) of a cluster of 2 separate species, C2H7N2S2 in total.

Values from the calculation:
Charge: +1
E_HOMO: -13.3 eV

The geometry in XYZ format:
```
13
Properties=species:S:1:pos:R:3:mulliken_charge:R:1
S 0.521 2.198 1.238 -0.107
S -0.998 -2.867 1.649 -0.118
N 1.190 0.758 -1.052 -0.244
N -1.585 -0.860 -0.094 -0.634
C 0.525 0.949 0.043 0.516
C -1.016 -1.964 0.155 -0.074
H 0.178 -3.450 1.466 0.162
H -2.373 -0.478 0.574 0.261
H -0.114 0.073 0.465 0.050
H 0.908 -0.108 -1.448 0.279
H 1.495 1.489 -1.678 0.284
H -0.443 -2.426 -0.635 0.405
H 1.379 3.233 0.928 0.220
```


Entry two
The following is a DFT calculation (wB97M-V/def2-TZVPD) of the ion C2H7N2S2 with charge +1.

Values from the calculation:
SMILES: SN1C[NH2+]CS1
Charge: +1
E_HOMO: -13.5 eV

The geometry in XYZ format:
```
13
Properties=species:S:1:pos:R:3:mulliken_charge:R:1
S -1.131 -1.838 0.338 0.117
S -2.450 0.769 -0.415 -0.065
N -1.410 -0.215 0.777 -0.238
N 0.784 -0.032 -0.148 -0.182
C -0.058 0.499 0.872 -0.470
C 0.129 -1.149 -0.917 -0.762
H -0.319 1.539 0.830 0.395
H 0.302 0.433 1.890 0.258
H -3.626 0.451 0.101 0.197
H 1.039 0.616 -0.928 0.402
H 1.729 -0.424 0.358 0.421
H -0.445 -0.597 -1.555 0.515
H 0.906 -1.756 -1.357 0.412
```


Q: What are the energies relative to the best structure? A: entry one 0.0000; entry two 0.0235, in hartree.


Entry one
The following is a DFT calculation (wB97M-V/def2-TZVPD) of an isolated molecule of C11H18N2.

Values from the calculation:
SMILES: CN(C)C(=C=N)CCCC1=CCC1
Charge: 0
E_HOMO: -7.9 eV

The geometry in XYZ format:
```
31
Properties=species:S:1:pos:R:3:mulliken_charge:R:1
N -0.687 -1.830 1.792 0.069
N 2.710 -1.279 1.190 -0.628
C 0.933 2.285 -2.660 -0.465
C 0.144 -0.519 -1.527 -0.921
C -0.479 0.784 -1.028 0.119
C 0.093 2.003 -1.664 -0.055
C -0.110 3.452 -1.288 -0.801
C 0.261 -1.663 0.736 0.001
C -0.342 -1.133 3.013 -1.069
C 0.874 3.773 -2.442 -0.408
C -1.006 -3.226 2.038 -1.016
C -0.284 -1.723 -0.676 -0.998
C 1.517 -1.399 0.969 0.535
H -1.273 -3.707 1.100 0.307
H -1.857 -3.284 2.717 0.373
H 0.540 -1.546 3.523 0.393
H 0.235 3.733 -0.293 0.242
H -0.154 -0.693 -2.562 0.471
H 0.452 4.348 -3.268 0.251
H -1.122 3.825 -1.431 0.262
H 1.233 -0.429 -1.499 0.388
H -1.561 0.760 -1.197 0.268
H 3.116 -0.360 1.343 0.247
H -0.162 -3.772 2.488 0.328
H -1.373 -1.750 -0.600 0.408
H 1.467 1.701 -3.386 0.420
H 0.049 -2.640 -1.174 0.337
H -1.192 -1.194 3.692 0.338
H -0.334 0.860 0.055 0.066
H 1.808 4.235 -2.125 0.230
H -0.152 -0.085 2.781 0.310
```


Entry two
The following is a DFT calculation (wB97M-V/def2-TZVPD) of an isolated molecule of C11H18N2.

Values from the calculation:
SMILES: CC(C)/C=C1/C=CN2[C@H](C(C)C)N12
Charge: 0
E_HOMO: -7.7 eV

The geometry in XYZ format:
```
31
Properties=species:S:1:pos:R:3:mulliken_charge:R:1
N -2.376 -1.332 -0.540 -0.491
N -0.972 -1.264 -0.845 -0.226
C 1.696 -0.523 -0.189 2.008
C -3.270 1.602 -0.090 -1.706
C 2.122 -0.669 -1.689 -1.346
C -1.592 -0.267 0.022 0.032
C -1.402 -2.958 0.603 -0.369
C 0.965 -1.760 0.351 -0.739
C -0.323 -2.114 0.032 0.346
C -2.554 -2.442 0.288 -0.698
C -1.877 1.131 -0.508 0.647
C -0.722 2.100 -0.131 -1.891
C 2.933 -0.424 0.668 -1.482
H -3.654 2.487 -0.720 0.353
H -1.962 1.162 -1.588 0.268
H 2.535 -1.693 -1.888 0.328
H 2.798 -0.174 1.802 0.293
H -1.054 3.099 -0.298 0.456
H -3.503 1.718 0.949 0.404
H 2.996 0.046 -1.940 0.368
H 1.264 -0.575 -2.475 0.289
H 0.017 1.959 -0.801 0.539
H 1.026 0.425 -0.099 -0.931
H -0.187 1.815 0.784 0.393
H -3.954 0.884 -0.373 0.497
H -1.143 -3.932 1.158 0.321
H -1.197 -0.389 1.049 0.582
H 3.340 -1.447 0.733 0.321
H -3.536 -2.649 0.513 0.542
H 3.590 0.254 0.151 0.444
H 1.458 -2.417 1.026 0.450
```


Q: What are the energies relative to the best structure? A: entry one 0.0000; entry two 0.0571, in hartree.


Entry one
The following is a DFT calculation (wB97M-V/def2-TZVPD) of a cluster of 3 separate species, C5H16O2 in total.

Values from the calculation:
SMILES: CCC(C)C.O.O
Charge: 0
E_HOMO: -10.9 eV
-- stop --
Worked solution:
The following is a DFT calculation (wB97M-V/def2-TZVPD) of an isolated molecule of C11H18N2.
The following is a DFT calculation (wB97M-V/def2-TZVPD) of an isolated molecule of C11H18N2.